Stuttering in League of Legends can turn a relaxing gaming session into a tilt-inducing nightmare. You can do nothing but watch helplessly as the stutters take away your kills, CS, and chances of winning the game.
Stuttering, alongside high ping, was a problem that ruined my gaming for weeks upon weeks. No matter what I tried, I couldn’t stop League from turning into a stop motion movie.
But don’t worry, we’ve taken the time to thoroughly investigate what causes League of Legends stuttering. And more importantly, how to fix it once and for all.
What is Stuttering?
Stuttering occurs when there are abnormal, irregular delays between frames. Your gameplay becomes choppy, and it also feels sluggish. Stuttering can even delay your in-game actions.
It’s not uncommon to experience stuttering every now and again. However, if it’s regularly occurring there is without a doubt an underlying problem that’s causing it.
What Causes League Of Legends Stuttering?
A whole myriad of things can cause League of Legends stuttering. The most common causes include:
- League of Legends in-game settings
- Outdated drivers
- Unreliable network connection
- Poor heat management
- Windows 10 settings
- Malware
- Hard drive problems
How to Fix League of Legends Stuttering
There is nothing more frustrating than League stuttering while you’re in the middle of a match, especially if you’re playing with LP on the line. Fortunately, many of the fixes for stuttering are relatively simple. So, you’ll hopefully be back to smooth gameplay in no time.
We’ll start off with the easiest and most common fix: changing your in-game settings.
Change In-Game Settings
If you’ve poorly configured your settings or opted for higher performance than your system can deliver, it can cause stuttering, among other problems.
Below, we’ll cover how to optimize your settings for best performance. You’ll need to first access the client settings.
- Open up the Client and click on the cog icon to go to settings.
- Under General, select Enable Low Spec Mode, and change option under Close client during game.
- Then, go into the practice tool or start a custom match.
- Once the Rift has loaded up, click on the cog icon in the right corner to open the settings.
Now, make the following changes:
Video Settings
- Change your graphics setting to Increased Performance. It should automatically change all the quality settings to low.
- Make sure Shadow Quality is set to off. Shadows are renowned for messing with your FPS.
- Enable Hide eye candy and disable Screen shake.
- Make sure your Screen Resolution is set to your Monitor’s Resolution or lower. If you run League at a greater resolution than your computer can manage, it’ll cause performance issues.
Video Advanced Settings
- Next, scroll down and look for Frame Rate Cap. Change this to 60 FPS or 144 FPS, depending on your rig’s refresh rate.
- Disable Anti-Aliasing. While it eliminates jagged lines, it can potentially cause the GPU to overwork, which can bring about lag and stuttering.
Sound Settings
- Adjust the Music Volume to 0.
Interface Settings
- Disable HUD animations.
- Scroll down and turn off Emote Bubble Display.
- Once done click on Okay.
Update Drivers Including Graphic Card

It’s important to keep your drivers updated to ensure your computer can run smoothly. If your drivers are out-of-date, they can cause a whole host of performance issues, from lag to stuttering to crashes. They can also make your system vulnerable to malware and hackers.
Read our in-depth guide on how to check and update your drivers.
Disable Windows Game Mode
The Windows 10 Game Mode might have been designed to improve your rig’s gaming performance, but many users have reported that it actually hinders it, bringing about problems like stuttering and freezing.
Considering this, it’s worth seeing if disabling Game Mode solves your League of Legends stuttering problem. Here’s how to disable it:
- Press the Windows start button, and open up the Settings app.
- Select the Gaming tab.
- Click on Game Mode, then switch the toggle to off.
- Restart your computer to allow the setting changes to come into effect.
Other Windows Settings to Change
A number of other Windows settings can potentially cause League of Legends stuttering, including power settings, privacy options, and the Game Bar.
Change Windows Power Settings
Computers are typically set to Balanced performance by default, which automatically adjusts the CPU’s speed based on the tasks you’re doing. While convenient, it can cause potential problems if it doesn’t adjust properly.
Before you play League, it’s a good idea to switch to High performance. This mode ensures your computer will run at its full potential.
Here’s how to change your computer’s power mode:
- Press the Windows start button, search and open up Control Panel.
- Select Power Options.
- Choose High performance.
Turn off Game Bar and Game DVR
Game Bar is a Windows 10 feature that allows you to capture and share your gameplay. While it can be handy, it uses processes, like game DVR, that take up system resources. To disable, do the following:
- In the Settings menu, select the Gaming tab, then the Game Bar option.
- Toggle the button to off.
- Next, go to the Captures tab, and disable the Record in the background while I’m playing a game setting.
Disable Windows 10 Privacy Options
Windows 10 has several tracking-related tasks that run in the background, all of which use up system resources. Disabling them can therefore help to combat League of Legends stuttering. Here’s how:
- Press the Windows start button, then in the search box type in Privacy.
- A Privacy settings button should appear – click on this.
- Disable everything under Change privacy options.
Manage Temperature
Inadequate heat management can cause your PC to run too hot. High temperatures can drastically impact your device’s performance for the worse. It can even reduce its lifespan.
The best ways to keep your system cool include:
- Ensure adequate airflow.
- Turn up the air conditioning on hot days.
- Clear out dust clogging up the fans (you can also use compressed air).
- Make sure cables are tidy and organized; if they’re all over the place it will take up more space, hindering airflow.
- Keep your computer in a well-ventilated location that isn’t exposed to direct sunlight.
Someone pasted materials data at this point.
'''
No. 1
{"formula": "LuAl8Fe4", "functional": "r²SCAN", "state": "optimized geometry", "ef_ev_per_atom": -0.38, "spacegroup": "C2/m, No. 12", "cell": [[4.991, -4.337, 0.000], [4.991, 4.337, 0.000], [-2.452, 0.000, 4.305]], "species": ["Lu", "Al", "Al", "Al", "Al", "Al", "Al", "Al", "Al", "Fe", "Fe", "Fe", "Fe"], "frac_coords": [[0.000, 0.000, 0.000], [0.219, 0.219, 0.719], [0.219, 0.781, 0.500], [0.341, 0.341, 0.340], [0.341, 0.659, 0.000], [0.659, 0.341, 0.000], [0.659, 0.659, 0.660], [0.781, 0.219, 0.500], [0.781, 0.781, 0.281], [0.000, 0.500, 0.000], [0.000, 0.500, 0.500], [0.500, 0.000, 0.000], [0.500, 0.000, 0.500]]}

***

No. 2
{"formula": "PaAgTe2", "functional": "r²SCAN", "state": "optimized geometry", "ef_ev_per_atom": -0.44, "spacegroup": "Fm-3m, No. 225", "cell": [[0.000, 3.746, 3.746], [3.746, 0.000, 3.746], [3.746, 3.746, 0.000]], "species": ["Pa", "Ag", "Te", "Te"], "frac_coords": [[0.000, 0.000, 0.000], [0.500, 0.500, 0.500], [0.250, 0.250, 0.250], [0.750, 0.750, 0.750]]}

***

No. 3
{"formula": "UMo6S8", "functional": "r²SCAN", "state": "optimized geometry", "ef_ev_per_atom": -0.99, "spacegroup": "P-1, No. 2", "cell": [[6.482, 0.000, 0.000], [0.109, 6.485, 0.000], [0.105, 0.122, 6.491]], "species": ["U", "Mo", "Mo", "Mo", "Mo", "Mo", "Mo", "S", "S", "S", "S", "S", "S", "S", "S"], "frac_coords": [[0.000, 0.000, 0.000], [0.227, 0.562, 0.421], [0.421, 0.227, 0.562], [0.438, 0.579, 0.774], [0.562, 0.421, 0.226], [0.579, 0.773, 0.438], [0.773, 0.438, 0.579], [0.127, 0.369, 0.754], [0.241, 0.241, 0.242], [0.246, 0.873, 0.630], [0.369, 0.753, 0.126], [0.631, 0.247, 0.874], [0.754, 0.127, 0.370], [0.759, 0.759, 0.758], [0.873, 0.631, 0.246]]}

***

No. 4
{"formula": "YFeB4", "functional": "r²SCAN", "state": "optimized geometry", "ef_ev_per_atom": -0.58, "spacegroup": "Pbam, No. 55", "cell": [[5.895, 0.000, 0.000], [0.000, 11.415, 0.000], [0.000, 0.000, 3.417]], "species": ["Y", "Y", "Y", "Y", "Fe", "Fe", "Fe", "Fe", "B", "B", "B", "B", "B", "B", "B", "B", "B", "B", "B", "B", "B", "B", "B", "B"], "frac_coords": [[0.127, 0.150, 0.000], [0.373, 0.650, 0.000], [0.627, 0.350, 0.000], [0.873, 0.850, 0.000], [0.128, 0.416, 0.000], [0.372, 0.916, 0.000], [0.628, 0.084, 0.000], [0.872, 0.584, 0.000], [0.023, 0.690, 0.500], [0.112, 0.547, 0.500], [0.139, 0.967, 0.500], [0.219, 0.817, 0.500], [0.281, 0.317, 0.500], [0.361, 0.467, 0.500], [0.388, 0.047, 0.500], [0.477, 0.190, 0.500], [0.523, 0.810, 0.500], [0.612, 0.953, 0.500], [0.639, 0.533, 0.500], [0.719, 0.683, 0.500], [0.781, 0.183, 0.500], [0.861, 0.033, 0.500], [0.888, 0.453, 0.500], [0.977, 0.310, 0.500]]}

***

No. 5
'''
- Apply thermal paste.
- Buy better CPU cooling and more case fans.
If you’re using a laptop, make sure to invest in a powerful laptop cooler.
Close Background Programs
Before you dive into the Rift, make sure you’ve closed all unnecessary programs. If you have lots of intensive applications running in the background, it will without a doubt eat up your computer’s resources, resulting in performance problems like stuttering.
Here’s how to close them:
- Open up the Task Manager using the Ctrl + Shift + Esc keys.
- Under the Processes tab, you’ll be able to see exactly which programs are currently active.
- Click on the CPU column to sort active programs by their CPU usage.
- Close unnecessary applications with high CPU usage.
- Now, click on the Memory column to organize programs by how much RAM they use up.
- Close applications that are RAM-hogging, as well as any other unnecessary ones.
Use an Ethernet Cable
If you’re experiencing both lag and stuttering, it could be the result of a poor internet connection. You can test your connection speed by using an internet speed checker service.
Before you fork out for a new ISP or package though, it’s worth seeing if an ethernet cable will fix the problem first. An ethernet cable drastically improves the speed and reliability of your internet connection.
You can also try changing your DNS Server.
Check Hardware
If all of the above has failed, it could be due to a hardware problem.
First, make sure your PC is capable of meeting the minimum system requirements for League of Legends. If it is, troubleshoot for potential hardware issues.
Turn Off Intel Turbo Boost
The Intel Turbo Boost can also aggravate Stuttering. Intel Turbo Boost overclocks the processors. So turning it off or decreasing its value can reduce the stuttering.
- Click Windows key and type Edit Power Plan. On the settings click on Change advanced power settings.
- Under the Power Options tab, double click on Processor power management. This will expand category.
- Double tap on Maximum processor state. This will give you two options, On battery and Plugged in. Set both On battery and Plugged in values to 99%.
Related Questions
Why is Only League of Legends Stuttering?
If you’re only experiencing stuttering in League of Legends, the issue is likely directly related to your in-game settings. Above, we’ve covered how to optimize the client settings to ensure you’re getting the best performance possible.
Can Malware Cause Stuttering?
Malicious software can cause the CPU to overwork, which will no doubt lead to performance problems. You can check for malware (and remove it) by using anti-virus software.
Should I Enable V-Sync?
V-Sync (vertical sync) helps combat screen tearing by matching the game’s frame rate with your monitor’s refresh rate. This can help your gameplay run smoother, and reduce stuttering in games. However, this is not the case for every game, nor every device; in some situations, it can potentially worsen the stuttering problem.
The only way to know if V-Sync will work is by testing it out yourself. You can toggle V-Sync on and off in the client settings under the Video tab.
Why is League of Legends Stuttering Suddenly?
If League is suddenly stuttering, it could be caused by several things, from malware to a hardware issue. Trying out the methods above should help you pinpoint the problem.
If League is the only game that’s suddenly stuttering, it could be caused by in-game setting changes or a recent patch update. If you believe it’s the latter, you should report the issue to Riot Games Support.